- - -
1.
107
Properties=species:S:1:pos:R:3:forces:R:3:mulliken_charge:R:1 method="wB97M-V/def2-TZVPD" relative_energy_ev=0.000 charge=+1 multiplicity=1 energy_ev=-55611.9660 lumo_energy_ev=-2.21 largest_force_ev_per_a=0.5 homo_ha=-0.3777 orbital_gap_ev=8.1
C 0.80374 -2.03316 4.62336 0.04 0.00 -0.02 -1.1802
C -0.01495 -0.79243 4.95529 -0.07 -0.16 -0.06 -0.4620
C -0.72838 -0.22385 3.74236 0.48 0.16 0.10 0.3638
O -1.90047 -0.97250 3.33566 -0.07 -0.06 -0.03 -0.2797
N -2.91455 -0.82789 4.28117 0.08 -0.04 0.00 0.1747
C -4.10838 -1.63294 3.88998 -0.14 0.11 -0.14 -1.1188
C -5.33231 -0.98950 4.55942 0.09 0.02 0.08 0.6779
O -4.82803 -0.40215 5.75101 -0.33 -0.17 0.05 -0.5925
C -6.43400 -2.00338 4.81570 0.04 0.03 -0.02 -0.9198
N -6.71404 -2.73928 3.58774 0.09 -0.17 0.11 -0.4899
H 0.17308 -2.84998 4.27082 0.00 -0.01 -0.03 0.2895
H 1.53528 -1.80550 3.84707 -0.01 -0.02 -0.03 0.2792
H 1.35282 -2.38240 5.49516 -0.02 -0.03 0.05 0.3984
H -0.71965 -1.03640 5.75961 0.04 0.18 0.11 0.2462
H 0.62876 0.00295 5.33032 0.00 0.02 0.06 0.3657
H -0.06329 -0.29995 2.88611 -0.14 0.01 -0.15 -0.2770
H -0.97161 0.83542 3.85798 -0.23 -0.03 0.07 0.3019
H -3.18386 0.15648 4.39451 0.04 0.04 -0.08 0.4018
H -2.58069 -1.13476 5.19845 -0.05 0.04 0.06 0.2818
H -3.92541 -2.66386 4.18487 0.03 0.01 0.14 0.4607
H -4.16488 -1.59564 2.80596 0.02 -0.01 -0.04 0.3811
H -5.72740 -0.21098 3.89663 0.07 0.02 -0.07 0.2494
H -5.56312 -0.08708 6.31582 0.30 0.19 0.00 0.3938
H -7.33144 -1.45435 5.10774 -0.02 -0.01 0.06 0.4162
H -6.14626 -2.62319 5.67463 0.15 -0.05 -0.07 0.3396
H -7.27526 -3.55391 3.81001 -0.18 0.10 -0.10 0.2521
H -5.86286 -3.12288 3.18283 -0.05 -0.10 0.00 0.2238
C -6.18015 2.40919 9.57561 0.01 -0.10 0.00 -1.1578
C -6.33716 2.10680 8.11227 -0.06 0.08 0.02 0.8108
O -6.22203 0.97458 7.68767 0.02 -0.11 -0.05 -0.6364
C -6.64942 3.26490 7.20370 0.02 -0.09 -0.07 -1.0828
H -5.96078 1.49780 10.12462 0.00 0.00 0.00 0.3004
H -5.37456 3.13094 9.72098 -0.03 0.03 0.00 0.3488
H -7.09579 2.85967 9.96196 0.01 0.04 -0.01 0.3498
H -5.86054 4.01566 7.27335 -0.02 0.02 0.03 0.3434
H -7.58018 3.74055 7.51613 0.01 0.03 0.03 0.3438
H -6.74367 2.92397 6.17572 0.00 0.00 0.00 0.2550
C 1.81634 4.71607 4.08527 0.02 -0.07 0.07 -1.2340
C 1.07777 3.50590 3.57875 0.08 0.10 -0.07 0.9299
O 1.21544 2.41632 4.09220 -0.17 -0.14 0.00 -0.5110
C 0.17020 3.71697 2.39188 0.00 -0.10 0.04 -1.1104
H 2.43910 4.44328 4.93281 0.00 0.00 0.00 0.3150
H 2.43863 5.13178 3.29112 -0.03 0.02 -0.02 0.3418
H 1.10702 5.49024 4.38327 0.00 0.02 -0.04 0.3465
H 0.74290 4.09978 1.54563 0.00 0.03 0.00 0.3745
H -0.59412 4.45856 2.63097 0.02 0.03 -0.02 0.4252
H -0.30164 2.77936 2.10568 0.00 0.00 -0.01 0.1618
C 1.85649 0.14708 0.53783 -0.02 0.17 -0.03 -0.6577
C 1.71745 0.22118 -0.96839 0.02 -0.07 0.10 0.7649
O 1.61842 1.28647 -1.53076 -0.09 0.05 0.06 -0.5607
C 1.71622 -1.09235 -1.70050 0.02 0.21 -0.20 -1.1155
H 1.85239 1.15186 0.95557 0.00 0.00 0.02 0.2273
H 1.02121 -0.42547 0.94647 0.06 -0.10 0.00 -0.0374
H 2.78461 -0.35758 0.80957 -0.05 -0.09 0.01 0.3869
H 0.89964 -1.72238 -1.34484 0.06 -0.05 0.05 0.3911
H 2.64406 -1.62951 -1.50227 -0.07 -0.04 0.03 0.2719
H 1.60921 -0.92033 -2.76925 -0.01 0.00 0.00 0.3056
C 3.04469 1.84920 -4.24009 0.09 -0.14 -0.09 -1.0303
C 3.30826 1.46584 -5.67436 -0.08 0.08 -0.01 0.6734
O 3.63331 0.33758 -5.97570 0.02 -0.04 0.01 -0.5967
C 3.17128 2.55263 -6.70705 0.07 -0.10 -0.04 -0.9783
H 3.19801 0.98804 -3.59604 -0.01 0.04 0.00 0.1240
H 3.71885 2.65411 -3.93956 -0.04 0.05 -0.01 0.3798
H 2.02222 2.20765 -4.11774 0.02 0.04 0.01 0.4420
H 3.86366 3.36430 -6.47382 -0.06 0.06 -0.03 0.2784
H 2.16481 2.97249 -6.71031 0.01 0.04 0.06 0.4599
H 3.39648 2.16075 -7.69527 0.00 0.00 0.00 0.2241
C 1.78221 -5.92892 -0.66948 -0.03 0.08 0.00 -1.0735
C 2.96849 -5.00596 -0.53224 0.05 -0.10 -0.03 0.7803
O 2.84575 -3.80350 -0.58104 -0.03 -0.03 0.09 -0.4973
C 4.31272 -5.66006 -0.33743 0.02 0.09 0.00 -1.1169
H 0.87452 -5.34697 -0.80747 0.00 0.00 0.00 0.2524
H 1.92398 -6.59389 -1.52296 0.02 -0.03 0.02 0.3391
- - -
Could you restate only the last part of the calculation results further above, starting with the line that has "0.00 -0.02"?
C 0.80374 -2.03316 4.62336 0.04 0.00 -0.02 -1.1802
C -0.01495 -0.79243 4.95529 -0.07 -0.16 -0.06 -0.4620
C -0.72838 -0.22385 3.74236 0.48 0.16 0.10 0.3638
O -1.90047 -0.97250 3.33566 -0.07 -0.06 -0.03 -0.2797
N -2.91455 -0.82789 4.28117 0.08 -0.04 0.00 0.1747
C -4.10838 -1.63294 3.88998 -0.14 0.11 -0.14 -1.1188
C -5.33231 -0.98950 4.55942 0.09 0.02 0.08 0.6779
O -4.82803 -0.40215 5.75101 -0.33 -0.17 0.05 -0.5925
C -6.43400 -2.00338 4.81570 0.04 0.03 -0.02 -0.9198
N -6.71404 -2.73928 3.58774 0.09 -0.17 0.11 -0.4899
H 0.17308 -2.84998 4.27082 0.00 -0.01 -0.03 0.2895
H 1.53528 -1.80550 3.84707 -0.01 -0.02 -0.03 0.2792
H 1.35282 -2.38240 5.49516 -0.02 -0.03 0.05 0.3984
H -0.71965 -1.03640 5.75961 0.04 0.18 0.11 0.2462
H 0.62876 0.00295 5.33032 0.00 0.02 0.06 0.3657
H -0.06329 -0.29995 2.88611 -0.14 0.01 -0.15 -0.2770
H -0.97161 0.83542 3.85798 -0.23 -0.03 0.07 0.3019
H -3.18386 0.15648 4.39451 0.04 0.04 -0.08 0.4018
H -2.58069 -1.13476 5.19845 -0.05 0.04 0.06 0.2818
H -3.92541 -2.66386 4.18487 0.03 0.01 0.14 0.4607
H -4.16488 -1.59564 2.80596 0.02 -0.01 -0.04 0.3811
H -5.72740 -0.21098 3.89663 0.07 0.02 -0.07 0.2494
H -5.56312 -0.08708 6.31582 0.30 0.19 0.00 0.3938
H -7.33144 -1.45435 5.10774 -0.02 -0.01 0.06 0.4162
H -6.14626 -2.62319 5.67463 0.15 -0.05 -0.07 0.3396
H -7.27526 -3.55391 3.81001 -0.18 0.10 -0.10 0.2521
H -5.86286 -3.12288 3.18283 -0.05 -0.10 0.00 0.2238
C -6.18015 2.40919 9.57561 0.01 -0.10 0.00 -1.1578
C -6.33716 2.10680 8.11227 -0.06 0.08 0.02 0.8108
O -6.22203 0.97458 7.68767 0.02 -0.11 -0.05 -0.6364
C -6.64942 3.26490 7.20370 0.02 -0.09 -0.07 -1.0828
H -5.96078 1.49780 10.12462 0.00 0.00 0.00 0.3004
H -5.37456 3.13094 9.72098 -0.03 0.03 0.00 0.3488
H -7.09579 2.85967 9.96196 0.01 0.04 -0.01 0.3498
H -5.86054 4.01566 7.27335 -0.02 0.02 0.03 0.3434
H -7.58018 3.74055 7.51613 0.01 0.03 0.03 0.3438
H -6.74367 2.92397 6.17572 0.00 0.00 0.00 0.2550
C 1.81634 4.71607 4.08527 0.02 -0.07 0.07 -1.2340
C 1.07777 3.50590 3.57875 0.08 0.10 -0.07 0.9299
O 1.21544 2.41632 4.09220 -0.17 -0.14 0.00 -0.5110
C 0.17020 3.71697 2.39188 0.00 -0.10 0.04 -1.1104
H 2.43910 4.44328 4.93281 0.00 0.00 0.00 0.3150
H 2.43863 5.13178 3.29112 -0.03 0.02 -0.02 0.3418
H 1.10702 5.49024 4.38327 0.00 0.02 -0.04 0.3465
H 0.74290 4.09978 1.54563 0.00 0.03 0.00 0.3745
H -0.59412 4.45856 2.63097 0.02 0.03 -0.02 0.4252
H -0.30164 2.77936 2.10568 0.00 0.00 -0.01 0.1618
C 1.85649 0.14708 0.53783 -0.02 0.17 -0.03 -0.6577
C 1.71745 0.22118 -0.96839 0.02 -0.07 0.10 0.7649
O 1.61842 1.28647 -1.53076 -0.09 0.05 0.06 -0.5607
C 1.71622 -1.09235 -1.70050 0.02 0.21 -0.20 -1.1155
H 1.85239 1.15186 0.95557 0.00 0.00 0.02 0.2273
H 1.02121 -0.42547 0.94647 0.06 -0.10 0.00 -0.0374
H 2.78461 -0.35758 0.80957 -0.05 -0.09 0.01 0.3869
H 0.89964 -1.72238 -1.34484 0.06 -0.05 0.05 0.3911
H 2.64406 -1.62951 -1.50227 -0.07 -0.04 0.03 0.2719
H 1.60921 -0.92033 -2.76925 -0.01 0.00 0.00 0.3056
C 3.04469 1.84920 -4.24009 0.09 -0.14 -0.09 -1.0303
C 3.30826 1.46584 -5.67436 -0.08 0.08 -0.01 0.6734
O 3.63331 0.33758 -5.97570 0.02 -0.04 0.01 -0.5967
C 3.17128 2.55263 -6.70705 0.07 -0.10 -0.04 -0.9783
H 3.19801 0.98804 -3.59604 -0.01 0.04 0.00 0.1240
H 3.71885 2.65411 -3.93956 -0.04 0.05 -0.01 0.3798
H 2.02222 2.20765 -4.11774 0.02 0.04 0.01 0.4420
H 3.86366 3.36430 -6.47382 -0.06 0.06 -0.03 0.2784
H 2.16481 2.97249 -6.71031 0.01 0.04 0.06 0.4599
H 3.39648 2.16075 -7.69527 0.00 0.00 0.00 0.2241
C 1.78221 -5.92892 -0.66948 -0.03 0.08 0.00 -1.0735
C 2.96849 -5.00596 -0.53224 0.05 -0.10 -0.03 0.7803
O 2.84575 -3.80350 -0.58104 -0.03 -0.03 0.09 -0.4973
C 4.31272 -5.66006 -0.33743 0.02 0.09 0.00 -1.1169
H 0.87452 -5.34697 -0.80747 0.00 0.00 0.00 0.2524
H 1.92398 -6.59389 -1.52296 0.02 -0.03 0.02 0.3391